### Source
........
(1)
For La5Mg2In, DFT lattice parameters and positions (GGA-PBE) gives the calculated powder diffraction line list in this record (Cu Kα (weighted mean of Kα1 and Kα2)).

```
La5Mg2In
1.0
8.1716 0.0000 0.0000
0.0000 8.1716 0.0000
0.0000 0.0000 7.7207
La Mg In
10 4 2
Cartesian
0.0000 0.0000 0.0000
2.0438 2.0438 1.9233
2.0420 2.0420 5.7837
2.0438 6.1278 1.9233
2.0420 6.1296 5.7837
4.0858 4.0858 3.8603
6.1278 2.0438 1.9233
6.1296 2.0420 5.7837
6.1278 6.1278 1.9233
6.1296 6.1296 5.7837
0.0000 4.0858 3.8534
0.0000 4.0858 7.7137
4.0858 0.0000 3.8534
4.0858 0.0000 7.7137
0.0000 0.0000 3.8509
4.0858 4.0858 7.7112
```

Largest 10 diffraction maxima, sorted by position, 2θ from 5° to 70°:
15.3 deg, d = 5.778 Å, I 16; 21.8 deg, d = 4.086 Å, I 10; 27.8 deg, d = 3.210 Å, I 8; 31.0 deg, d = 2.889 Å, I 54; 31.9 deg, d = 2.806 Å, I 100; 44.3 deg, d = 2.043 Å, I 20; 47.1 deg, d = 1.930 Å, I 8; 55.7 deg, d = 1.652 Å, I 41; 57.4 deg, d = 1.605 Å, I 19; 66.7 deg, d = 1.403 Å, I 12

(2)
For CaSn3Au, DFT lattice parameters and positions (GGA-PBE) gives the calculated powder diffraction line list in this record (Cu Kα (weighted mean of Kα1 and Kα2)).

```
CaSn3Au
1.0
2.3352 -12.9602 0.0000
2.3352 12.9602 0.0000
0.0000 0.0000 4.5873
Ca Sn Au
2 6 2
Cartesian
2.3352 8.6882 0.0000
2.3352 -8.6882 0.0000
2.3352 11.4919 2.2936
2.3352 5.7082 2.2936
2.3352 1.4619 0.0000
2.3352 -1.4619 0.0000
2.3352 -5.7082 2.2936
2.3352 -11.4919 2.2936
2.3352 3.0713 2.2936
2.3352 -3.0713 2.2936
```

Largest 10 diffraction maxima, sorted by position, 2θ from 5° to 70°:
6.8 deg, d = 12.960 Å, I 22; 19.3 deg, d = 4.591 Å, I 65; 20.6 deg, d = 4.321 Å, I 22; 21.6 deg, d = 4.109 Å, I 17; 29.2 deg, d = 3.060 Å, I 100; 36.7 deg, d = 2.452 Å, I 44; 38.6 deg, d = 2.335 Å, I 37; 39.3 deg, d = 2.294 Å, I 36; 41.8 deg, d = 2.162 Å, I 91; 56.2 deg, d = 1.636 Å, I 25

=====

Diffraction record for Na2Ni3O7. The X-ray powder pattern is computed, not measured: it uses a crystal structure in Alexandria, relaxed with PBE+U and λ = 1.5418 Å (Cu Kα).
Peak positions follow from Bragg's law for the DFT cell and can differ from measured ones.

Principal peaks in the range 10° ≤ 2θ ≤ 90°, sorted by position:
2θ (°)	I_rel
15.6	100.0
31.4	9.9
36.9	12.0
38.0	18.0
38.1	8.7
45.3	12.0
45.4	12.3
45.5	12.4
52.7	6.7
65.6	5.2
65.7	6.6
68.0	4.4

Cell and atoms:
```
data_Na2Ni3O7
_space_group_name_H-M_alt 'P 1'
_space_group_IT_number 1
_space_group_name_Hall 'P 1'
_cell_length_a 6.567
_cell_length_b 7.175
_cell_length_c 7.519
_cell_angle_alpha 102.84
_cell_angle_beta 109.33
_cell_angle_gamma 113.72
loop_
_atom_site_label
_atom_site_type_symbol
_atom_site_fract_x
_atom_site_fract_y
_atom_site_fract_z
Na1 Na 0.000 0.000 0.000
Na2 Na 0.144 0.657 0.145
Na3 Na 0.463 0.952 0.788
Na4 Na 0.789 0.300 0.609
Ni1 Ni 0.138 0.144 0.712
Ni2 Ni 0.280 0.290 0.429
Ni3 Ni 0.431 0.429 0.143
Ni4 Ni 0.566 0.568 0.857
Ni5 Ni 0.709 0.713 0.570
Ni6 Ni 0.852 0.859 0.287
O1 O 0.008 0.842 0.545
O2 O 0.160 0.345 0.197
O3 O 0.165 0.990 0.294
O4 O 0.266 0.442 0.888
O5 O 0.329 0.148 0.959
O6 O 0.418 0.594 0.608
O7 O 0.433 0.268 0.682
O8 O 0.558 0.728 0.316
O9 O 0.574 0.410 0.395
O10 O 0.662 0.848 0.035
O11 O 0.732 0.562 0.114
O12 O 0.823 0.014 0.708
O13 O 0.837 0.652 0.801
O14 O 0.984 0.163 0.456
```

=====

(1)
Diffraction record for K6MgBi2O8. The XRD peak list is calculated, not measured: it uses the PBE geometry in the Materials Project and Cu Kα (weighted mean of Kα1 and Kα2).
Intensities are scaled so that the largest is 100.

Structural model:
Unit cell a=6.512 b=6.917 c=7.940 alpha=96.19 beta=95.15 gamma=104.53
Space group P1 (No. 1)
Symmetry-distinct sites (fractional):
K 0.000 0.000 0.000 (multiplicity 1)
K 0.050 0.076 0.433 (multiplicity 1)
K 0.252 0.324 0.802 (multiplicity 1)
K 0.524 0.014 0.096 (multiplicity 1)
K 0.675 0.413 0.423 (multiplicity 1)
K 0.744 0.431 0.916 (multiplicity 1)
Mg 0.161 0.730 0.736 (multiplicity 1)
Bi 0.208 0.535 0.215 (multiplicity 1)
Bi 0.612 0.868 0.618 (multiplicity 1)
........

### To do
Your job: write out all of the contents further up verbatim.

### Written answer
(1)
For La5Mg2In, DFT lattice parameters and positions (GGA-PBE) gives the calculated powder diffraction line list in this record (Cu Kα (weighted mean of Kα1 and Kα2)).

```
La5Mg2In
1.0
8.1716 0.0000 0.0000
0.0000 8.1716 0.0000
0.0000 0.0000 7.7207
La Mg In
10 4 2
Cartesian
0.0000 0.0000 0.0000
2.0438 2.0438 1.9233
2.0420 2.0420 5.7837
2.0438 6.1278 1.9233
2.0420 6.1296 5.7837
4.0858 4.0858 3.8603
6.1278 2.0438 1.9233
6.1296 2.0420 5.7837
6.1278 6.1278 1.9233
6.1296 6.1296 5.7837
0.0000 4.0858 3.8534
0.0000 4.0858 7.7137
4.0858 0.0000 3.8534
4.0858 0.0000 7.7137
0.0000 0.0000 3.8509
4.0858 4.0858 7.7112
```

Largest 10 diffraction maxima, sorted by position, 2θ from 5° to 70°:
15.3 deg, d = 5.778 Å, I 16; 21.8 deg, d = 4.086 Å, I 10; 27.8 deg, d = 3.210 Å, I 8; 31.0 deg, d = 2.889 Å, I 54; 31.9 deg, d = 2.806 Å, I 100; 44.3 deg, d = 2.043 Å, I 20; 47.1 deg, d = 1.930 Å, I 8; 55.7 deg, d = 1.652 Å, I 41; 57.4 deg, d = 1.605 Å, I 19; 66.7 deg, d = 1.403 Å, I 12

(2)
For CaSn3Au, DFT lattice parameters and positions (GGA-PBE) gives the calculated powder diffraction line list in this record (Cu Kα (weighted mean of Kα1 and Kα2)).

```
CaSn3Au
1.0
2.3352 -12.9602 0.0000
2.3352 12.9602 0.0000
0.0000 0.0000 4.5873
Ca Sn Au
2 6 2
Cartesian
2.3352 8.6882 0.0000
2.3352 -8.6882 0.0000
2.3352 11.4919 2.2936
2.3352 5.7082 2.2936
2.3352 1.4619 0.0000
2.3352 -1.4619 0.0000
2.3352 -5.7082 2.2936
2.3352 -11.4919 2.2936
2.3352 3.0713 2.2936
2.3352 -3.0713 2.2936
```

Largest 10 diffraction maxima, sorted by position, 2θ from 5° to 70°:
6.8 deg, d = 12.960 Å, I 22; 19.3 deg, d = 4.591 Å, I 65; 20.6 deg, d = 4.321 Å, I 22; 21.6 deg, d = 4.109 Å, I 17; 29.2 deg, d = 3.060 Å, I 100; 36.7 deg, d = 2.452 Å, I 44; 38.6 deg, d = 2.335 Å, I 37; 39.3 deg, d = 2.294 Å, I 36; 41.8 deg, d = 2.162 Å, I 91; 56.2 deg, d = 1.636 Å, I 25

=====

Diffraction record for Na2Ni3O7. The X-ray powder pattern is computed, not measured: it uses a crystal structure in Alexandria, relaxed with PBE+U and λ = 1.5418 Å (Cu Kα).
Peak positions follow from Bragg's law for the DFT cell and can differ from measured ones.

Principal peaks in the range 10° ≤ 2θ ≤ 90°, sorted by position:
2θ (°)	I_rel
15.6	100.0
31.4	9.9
36.9	12.0
38.0	18.0
38.1	8.7
45.3	12.0
45.4	12.3
45.5	12.4
52.7	6.7
65.6	5.2
65.7	6.6
68.0	4.4

Cell and atoms:
```
data_Na2Ni3O7
_space_group_name_H-M_alt 'P 1'
_space_group_IT_number 1
_space_group_name_Hall 'P 1'
_cell_length_a 6.567
_cell_length_b 7.175
_cell_length_c 7.519
_cell_angle_alpha 102.84
_cell_angle_beta 109.33
_cell_angle_gamma 113.72
loop_
_atom_site_label
_atom_site_type_symbol
_atom_site_fract_x
_atom_site_fract_y
_atom_site_fract_z
Na1 Na 0.000 0.000 0.000
Na2 Na 0.144 0.657 0.145
Na3 Na 0.463 0.952 0.788
Na4 Na 0.789 0.300 0.609
Ni1 Ni 0.138 0.144 0.712
Ni2 Ni 0.280 0.290 0.429
Ni3 Ni 0.431 0.429 0.143
Ni4 Ni 0.566 0.568 0.857
Ni5 Ni 0.709 0.713 0.570
Ni6 Ni 0.852 0.859 0.287
O1 O 0.008 0.842 0.545
O2 O 0.160 0.345 0.197
O3 O 0.165 0.990 0.294
O4 O 0.266 0.442 0.888
O5 O 0.329 0.148 0.959
O6 O 0.418 0.594 0.608
O7 O 0.433 0.268 0.682
O8 O 0.558 0.728 0.316
O9 O 0.574 0.410 0.395
O10 O 0.662 0.848 0.035
O11 O 0.732 0.562 0.114
O12 O 0.823 0.014 0.708
O13 O 0.837 0.652 0.801
O14 O 0.984 0.163 0.456
```

=====

(1)
Diffraction record for K6MgBi2O8. The XRD peak list is calculated, not measured: it uses the PBE geometry in the Materials Project and Cu Kα (weighted mean of Kα1 and Kα2).
Intensities are scaled so that the largest is 100.

Structural model:
Unit cell a=6.512 b=6.917 c=7.940 alpha=96.19 beta=95.15 gamma=104.53
Space group P1 (No. 1)
Symmetry-distinct sites (fractional):
K 0.000 0.000 0.000 (multiplicity 1)
K 0.050 0.076 0.433 (multiplicity 1)
K 0.252 0.324 0.802 (multiplicity 1)
K 0.524 0.014 0.096 (multiplicity 1)
K 0.675 0.413 0.423 (multiplicity 1)
K 0.744 0.431 0.916 (multiplicity 1)
Mg 0.161 0.730 0.736 (multiplicity 1)
Bi 0.208 0.535 0.215 (multiplicity 1)
Bi 0.612 0.868 0.618 (multiplicity 1)